What to do >
Find the line underneath that holds "0.587 0.382", then return that line and all lines after it there.

Excerpt >
~~~
# 1
Entry from the Alexandria database: a relaxed structure of CaGa3O (PBE-GGA).

E = -3.5796 eV per atom
raw formation energy = -0.372 eV per atom
excess energy over the best structure of this formula in the dataset = 0.000 eV/atom
magnetization = 0.00 Bohr magnetons per cell

a = 4.609 Å, b = 4.609 Å, c = 4.609 Å
α = 90.00°, β = 90.00°, γ = 90.00°
Element x y z (fractional)
Ga: 0.000 0.000 0.500
Ga: 0.000 0.500 0.000
Ga: 0.500 0.000 0.000
O: 0.000 0.000 0.000
Ca: 0.500 0.500 0.500

# 2
Entry from the Alexandria database: a relaxed structure of CaGaO2 (PBE-GGA).

E = -5.6784 eV per atom
raw formation energy = -1.942 eV per atom
magnetization = 0.00 Bohr magnetons per cell

a = 5.598 Å, b = 5.238 Å, c = 7.440 Å
α = 90.00°, β = 90.00°, γ = 90.00°
Element x y z (fractional)
O: 0.350 0.344 0.934
O: 0.339 0.296 0.342
O: 0.339 0.796 0.158
O: 0.350 0.844 0.566
O: 0.850 0.156 0.434
O: 0.850 0.656 0.066
O: 0.839 0.204 0.842
O: 0.839 0.704 0.658
Ga: 0.026 0.532 0.855
Ga: 0.026 0.032 0.645
Ga: 0.526 0.468 0.145
Ga: 0.526 0.968 0.355
Ca: 0.039 0.587 0.382
Ca: 0.539 0.413 0.618
Ca: 0.039 0.087 0.118
Ca: 0.539 0.913 0.882

# 3
Entry from the Alexandria database: a relaxed structure of Ca3Ga5O12 (PBE-GGA).

E = -5.9966 eV per atom
raw formation energy = -1.965 eV per atom
magnetization = 12.56 Bohr magnetons per cell

a = 10.852 Å, b = 10.852 Å, c = 10.852 Å
α = 109.47°, β = 109.47°, γ = 109.47°
Site moments in Bohr magnetons follow the coordinates.
Element x y z (fractional)
Ca: 0.625 0.250 0.375  0.00
Ca: 0.375 0.750 0.625  0.00
Ca: 0.125 0.250 0.875  0.00
Ca: 0.750 0.375 0.125  0.00
Ca: 0.625 0.375 0.750  0.00
Ca: 0.750 0.875 0.625  0.00
Ca: 0.875 0.750 0.125  0.00
Ca: 0.125 0.875 0.750  0.00
Ca: 0.375 0.625 0.250  0.00
Ca: 0.875 0.125 0.250  0.00
Ca: 0.250 0.125 0.375  0.00
Ca: 0.250 0.625 0.875  0.00
O: 0.799 0.478 0.382  0.22
O: 0.678 0.201 0.583  0.22
O: 0.799 0.322 0.917  0.22
O: 0.405 0.022 0.322  0.22
O: 0.522 0.322 0.905  0.22
O: 0.478 0.678 0.095  0.22
O: 0.905 0.822 0.522  0.22
O: 0.583 0.701 0.678  0.22
O: 0.417 0.118 0.595  0.22
O: 0.978 0.382 0.299  0.22
O: 0.382 0.978 0.799  0.22
O: 0.022 0.618 0.701  0.22
O: 0.522 0.201 0.118  0.22
O: 0.917 0.095 0.618  0.22
O: 0.678 0.478 0.595  0.22
O: 0.905 0.083 0.882  0.22
O: 0.322 0.522 0.405  0.22
O: 0.022 0.405 0.822  0.22
O: 0.595 0.618 0.417  0.22
O: 0.478 0.799 0.882  0.22
O: 0.701 0.118 0.022  0.22
O: 0.583 0.882 0.405  0.22
O: 0.178 0.083 0.701  0.22
O: 0.822 0.917 0.299  0.22
O: 0.118 0.701 0.522  0.22
O: 0.118 0.417 0.095  0.22
O: 0.095 0.917 0.118  0.22
O: 0.178 0.095 0.978  0.22
O: 0.701 0.583 0.178  0.22
O: 0.299 0.417 0.822  0.22
O: 0.322 0.799 0.417  0.22
O: 0.405 0.382 0.583  0.22
O: 0.201 0.522 0.618  0.22
O: 0.595 0.978 0.678  0.22
O: 0.299 0.882 0.978  0.22
O: 0.978 0.595 0.178  0.22
O: 0.917 0.822 0.799  0.22
O: 0.201 0.678 0.083  0.22
O: 0.882 0.583 0.905  0.22
O: 0.095 0.178 0.478  0.22
O: 0.882 0.299 0.478  0.22
O: 0.618 0.022 0.201  0.22
O: 0.417 0.299 0.322  0.22
O: 0.382 0.405 0.083  0.22
O: 0.822 0.905 0.022  0.22
O: 0.083 0.905 0.382  0.22
O: 0.618 0.595 0.917  0.22
O: 0.083 0.178 0.201  0.22
Ga: 0.750 0.625 0.375  0.00
Ga: 0.125 0.750 0.375  0.00
Ga: 0.500 0.000 0.000  -0.01
Ga: 0.500 0.500 0.500  -0.01
Ga: 0.750 0.125 0.875  0.00
Ga: 0.375 0.250 0.125  0.00
Ga: 0.875 0.625 0.750  0.00
Ga: 0.375 0.125 0.750  0.00
Ga: 0.500 0.500 0.000  -0.01
Ga: 0.125 0.375 0.250  0.00
Ga: 0.500 0.000 0.500  -0.01
Ga: 0.000 0.000 0.000  -0.01
Ga: 0.000 0.500 0.500  -0.01
Ga: 0.625 0.875 0.250  0.00
Ga: 0.875 0.250 0.625  0.00
Ga: 0.000 0.000 0.500  -0.01
Ga: 0.625 0.750 0.875  0.00
Ga: 0.250 0.875 0.125  0.00
Ga: 0.250 0.375 0.625  0.00
Ga: 0.000 0.500 0.000  -0.01

# 4
Entry from the Alexandria database: a relaxed structure of Ca2GaO (PBE-GGA).

E = -4.4224 eV per atom
raw formation energy = -1.425 eV per atom
excess energy over the best structure of this formula in the dataset = 0.000 eV/atom
magnetization = 0.00 Bohr magnetons per cell
~~~

Written answer >
Ca: 0.039 0.587 0.382
Ca: 0.539 0.413 0.618
Ca: 0.039 0.087 0.118
Ca: 0.539 0.913 0.882

# 3
Entry from the Alexandria database: a relaxed structure of Ca3Ga5O12 (PBE-GGA).

E = -5.9966 eV per atom
raw formation energy = -1.965 eV per atom
magnetization = 12.56 Bohr magnetons per cell

a = 10.852 Å, b = 10.852 Å, c = 10.852 Å
α = 109.47°, β = 109.47°, γ = 109.47°
Site moments in Bohr magnetons follow the coordinates.
Element x y z (fractional)
Ca: 0.625 0.250 0.375  0.00
Ca: 0.375 0.750 0.625  0.00
Ca: 0.125 0.250 0.875  0.00
Ca: 0.750 0.375 0.125  0.00
Ca: 0.625 0.375 0.750  0.00
Ca: 0.750 0.875 0.625  0.00
Ca: 0.875 0.750 0.125  0.00
Ca: 0.125 0.875 0.750  0.00
Ca: 0.375 0.625 0.250  0.00
Ca: 0.875 0.125 0.250  0.00
Ca: 0.250 0.125 0.375  0.00
Ca: 0.250 0.625 0.875  0.00
O: 0.799 0.478 0.382  0.22
O: 0.678 0.201 0.583  0.22
O: 0.799 0.322 0.917  0.22
O: 0.405 0.022 0.322  0.22
O: 0.522 0.322 0.905  0.22
O: 0.478 0.678 0.095  0.22
O: 0.905 0.822 0.522  0.22
O: 0.583 0.701 0.678  0.22
O: 0.417 0.118 0.595  0.22
O: 0.978 0.382 0.299  0.22
O: 0.382 0.978 0.799  0.22
O: 0.022 0.618 0.701  0.22
O: 0.522 0.201 0.118  0.22
O: 0.917 0.095 0.618  0.22
O: 0.678 0.478 0.595  0.22
O: 0.905 0.083 0.882  0.22
O: 0.322 0.522 0.405  0.22
O: 0.022 0.405 0.822  0.22
O: 0.595 0.618 0.417  0.22
O: 0.478 0.799 0.882  0.22
O: 0.701 0.118 0.022  0.22
O: 0.583 0.882 0.405  0.22
O: 0.178 0.083 0.701  0.22
O: 0.822 0.917 0.299  0.22
O: 0.118 0.701 0.522  0.22
O: 0.118 0.417 0.095  0.22
O: 0.095 0.917 0.118  0.22
O: 0.178 0.095 0.978  0.22
O: 0.701 0.583 0.178  0.22
O: 0.299 0.417 0.822  0.22
O: 0.322 0.799 0.417  0.22
O: 0.405 0.382 0.583  0.22
O: 0.201 0.522 0.618  0.22
O: 0.595 0.978 0.678  0.22
O: 0.299 0.882 0.978  0.22
O: 0.978 0.595 0.178  0.22
O: 0.917 0.822 0.799  0.22
O: 0.201 0.678 0.083  0.22
O: 0.882 0.583 0.905  0.22
O: 0.095 0.178 0.478  0.22
O: 0.882 0.299 0.478  0.22
O: 0.618 0.022 0.201  0.22
O: 0.417 0.299 0.322  0.22
O: 0.382 0.405 0.083  0.22
O: 0.822 0.905 0.022  0.22
O: 0.083 0.905 0.382  0.22
O: 0.618 0.595 0.917  0.22
O: 0.083 0.178 0.201  0.22
Ga: 0.750 0.625 0.375  0.00
Ga: 0.125 0.750 0.375  0.00
Ga: 0.500 0.000 0.000  -0.01
Ga: 0.500 0.500 0.500  -0.01
Ga: 0.750 0.125 0.875  0.00
Ga: 0.375 0.250 0.125  0.00
Ga: 0.875 0.625 0.750  0.00
Ga: 0.375 0.125 0.750  0.00
Ga: 0.500 0.500 0.000  -0.01
Ga: 0.125 0.375 0.250  0.00
Ga: 0.500 0.000 0.500  -0.01
Ga: 0.000 0.000 0.000  -0.01
Ga: 0.000 0.500 0.500  -0.01
Ga: 0.625 0.875 0.250  0.00
Ga: 0.875 0.250 0.625  0.00
Ga: 0.000 0.000 0.500  -0.01
Ga: 0.625 0.750 0.875  0.00
Ga: 0.250 0.875 0.125  0.00
Ga: 0.250 0.375 0.625  0.00
Ga: 0.000 0.500 0.000  -0.01

# 4
Entry from the Alexandria database: a relaxed structure of Ca2GaO (PBE-GGA).

E = -4.4224 eV per atom
raw formation energy = -1.425 eV per atom
excess energy over the best structure of this formula in the dataset = 0.000 eV/atom
magnetization = 0.00 Bohr magnetons per cell